-- Assignment --
Now give back all of the block below unchanged.

-- Input --
********
Entry from OMol25: C18H37B3O11P2S as an isolated structure at a distorted geometry (the ωB97M-V functional and the def2-TZVPD basis).

Output
HOMO level, eV: -9.56
Lowest unoccupied orbital energy, eV: 0.439
Total charge: 0
Orbital gap, eV: 10.0

Last column: Mulliken charge in e.
CARTESIAN COORDINATES (ANGSTROEM)
S (-5.043, 5.109, -1.980)  -0.37
B (-4.172, 3.872, -2.983)  0.51
O (-3.478, 4.255, -4.115)  -0.34
B (-2.323, 3.514, -4.338)  0.35
O (-2.424, 2.153, -4.103)  -0.38
B (-2.893, 2.044, -2.782)  0.72
C (-1.973, 1.499, -1.664)  0.39
C (-0.882, 0.695, -2.001)  -0.19
C (-0.051, 0.242, -0.984)  -0.88
C (-0.325, 0.608, 0.318)  -0.46
C (-1.401, 1.407, 0.670)  -0.77
C (-2.236, 1.856, -0.339)  -0.39
O (-4.183, 2.538, -2.578)  -0.43
H (-5.123, 4.476, -0.805)  0.10
H (-1.277, 3.982, -4.644)  -0.09
H (-0.697, 0.455, -3.040)  0.41
H (0.795, -0.375, -1.257)  0.48
H (0.332, 0.282, 1.118)  0.58
H (-1.580, 1.699, 1.697)  0.44
H (-3.100, 2.479, -0.140)  0.35
O (-1.185, -3.476, -2.438)  -0.65
P (-2.012, -4.487, -3.120)  1.08
O (-1.111, -5.245, -4.223)  -0.33
C (0.128, -5.835, -3.835)  -0.30
C (-0.070, -7.105, -3.028)  -0.93
O (-2.988, -3.658, -4.099)  -0.43
C (-3.009, -2.232, -4.089)  -0.29
C (-2.023, -1.654, -5.083)  -0.85
O (-3.137, -5.608, -2.871)  -0.36
C (-3.333, -6.250, -1.596)  -0.25
C (-3.112, -5.331, -0.413)  -1.10
H (0.729, -5.114, -3.275)  0.25
H (0.660, -6.063, -4.758)  0.34
H (-0.487, -6.878, -2.043)  0.18
H (0.881, -7.616, -2.876)  0.42
H (-0.757, -7.782, -3.538)  0.26
H (-2.819, -1.851, -3.085)  0.28
H (-4.023, -1.931, -4.356)  0.36
H (-1.035, -2.103, -4.980)  0.24
H (-1.935, -0.574, -4.948)  0.11
H (-2.350, -1.844, -6.107)  0.37
H (-2.684, -7.127, -1.530)  0.25
H (-4.359, -6.616, -1.594)  0.32
H (-2.076, -4.985, -0.364)  0.32
H (-3.337, -5.851, 0.518)  0.40
H (-3.750, -4.448, -0.486)  0.31
O (4.239, 3.957, 3.366)  -0.76
P (3.372, 3.024, 4.105)  1.07
O (4.147, 1.623, 4.297)  -0.33
C (5.450, 1.613, 4.880)  -0.34
C (5.410, 1.872, 6.375)  -0.93
O (2.242, 2.559, 3.053)  -0.37
C (2.161, 3.125, 1.745)  -0.36
C (2.974, 2.330, 0.745)  -0.95
O (2.334, 2.930, 5.331)  -0.33
C (2.335, 3.863, 6.429)  -0.25
C (2.674, 5.282, 6.023)  -1.12
H (6.090, 2.344, 4.379)  0.28
H (5.862, 0.624, 4.687)  0.33
H (5.118, 2.906, 6.582)  0.18
H (6.392, 1.709, 6.819)  0.42
H (4.689, 1.214, 6.860)  0.26
H (2.465, 4.171, 1.756)  0.39
H (1.107, 3.104, 1.461)  0.32
H (3.987, 2.140, 1.099)  0.32
H (3.031, 2.856, -0.209)  0.34
H (2.510, 1.357, 0.572)  0.18
H (3.020, 3.509, 7.203)  0.25
H (1.333, 3.831, 6.856)  0.32
H (3.694, 5.352, 5.633)  0.35
H (2.596, 5.950, 6.880)  0.40
H (1.999, 5.631, 5.240)  0.32

Atomic forces in eV per Å
S 0.0 0.7 -0.3
B -1.0 -0.5 0.1
O 0.6 0.5 0.6
B -0.5 -0.6 -0.8
O 0.8 0.5 0.8
B -0.5 -1.1 -0.7
C -0.6 0.1 -0.5
C 0.0 0.2 0.5
C -0.2 0.0 -0.8
C 0.5 -0.2 0.9
C -0.3 0.3 -0.4
C 0.1 -0.2 -0.1
O 1.0 0.8 0.5
H 0.0 -0.4 -0.2
H -0.2 0.2 -0.3
H 0.0 -0.1 0.0
H 0.0 -0.1 0.3
H 0.0 -0.1 -0.1
H 0.1 -0.1 0.0
H 0.0 0.0 0.1
O -0.2 -1.3 2.1
P -0.7 1.6 -4.8
O -0.1 -0.2 0.6
C 0.3 -0.2 0.0
C -0.1 0.1 0.1
O -0.2 -0.2 0.2
C 0.1 0.3 -0.1
C 0.1 0.0 -0.2
O 1.0 0.2 2.1
C -0.1 -0.3 0.3
C 0.2 0.2 -0.1
H -0.1 0.1 0.0
H -0.1 0.1 -0.1
H 0.0 0.0 0.0
H 0.0 0.0 0.0
H 0.0 0.0 0.0
H 0.1 -0.1 0.0
H 0.0 -0.2 0.0
H 0.0 0.0 0.2
H 0.0 0.0 0.0
H 0.0 0.0 0.0
H 0.0 0.0 -0.1
H 0.0 0.1 -0.2
H 0.0 0.0 0.0
H 0.0 0.0 0.0
H 0.0 0.0 0.0
O 0.1 1.4 2.0
P -1.4 -3.7 -3.2
O 0.0 0.5 0.4
C 0.3 -0.1 0.1
C -0.1 0.1 0.0
O -0.2 0.1 0.3
C 0.1 0.0 -0.3
C 0.0 -0.2 0.0
O 1.2 1.9 0.5
C -0.1 0.2 0.4
C 0.1 0.0 -0.2
H -0.1 0.0 0.0
H -0.1 0.0 -0.1
H 0.0 0.0 0.0
H 0.0 0.0 0.0
H 0.0 0.0 0.0
H 0.1 0.0 0.1
H 0.0 -0.1 0.1
H 0.0 0.2 0.1
H 0.0 0.0 0.0
H 0.0 0.0 0.0
H 0.0 -0.1 -0.1
H 0.0 -0.1 -0.1
H 0.0 0.0 0.0
H -0.1 0.0 0.0
H 0.0 0.0 0.0

=====

# 1
Entry from the Open Molecules 2025 dataset: a structure of composition C53H49N2P2S2SiTl (wB97M-V/def2-TZVPD).

CARTESIAN COORDINATES (ANGSTROEM)
Tl1 -0.129 -1.369 -0.101
C1 1.297 1.067 -2.531
N1 1.761 0.535 -1.262
C2 1.712 1.599 -0.246
C3 0.297 2.017 0.208
********

-- Here it is --
Entry from OMol25: C18H37B3O11P2S as an isolated structure at a distorted geometry (the ωB97M-V functional and the def2-TZVPD basis).

Output
HOMO level, eV: -9.56
Lowest unoccupied orbital energy, eV: 0.439
Total charge: 0
Orbital gap, eV: 10.0

Last column: Mulliken charge in e.
CARTESIAN COORDINATES (ANGSTROEM)
S (-5.043, 5.109, -1.980)  -0.37
B (-4.172, 3.872, -2.983)  0.51
O (-3.478, 4.255, -4.115)  -0.34
B (-2.323, 3.514, -4.338)  0.35
O (-2.424, 2.153, -4.103)  -0.38
B (-2.893, 2.044, -2.782)  0.72
C (-1.973, 1.499, -1.664)  0.39
C (-0.882, 0.695, -2.001)  -0.19
C (-0.051, 0.242, -0.984)  -0.88
C (-0.325, 0.608, 0.318)  -0.46
C (-1.401, 1.407, 0.670)  -0.77
C (-2.236, 1.856, -0.339)  -0.39
O (-4.183, 2.538, -2.578)  -0.43
H (-5.123, 4.476, -0.805)  0.10
H (-1.277, 3.982, -4.644)  -0.09
H (-0.697, 0.455, -3.040)  0.41
H (0.795, -0.375, -1.257)  0.48
H (0.332, 0.282, 1.118)  0.58
H (-1.580, 1.699, 1.697)  0.44
H (-3.100, 2.479, -0.140)  0.35
O (-1.185, -3.476, -2.438)  -0.65
P (-2.012, -4.487, -3.120)  1.08
O (-1.111, -5.245, -4.223)  -0.33
C (0.128, -5.835, -3.835)  -0.30
C (-0.070, -7.105, -3.028)  -0.93
O (-2.988, -3.658, -4.099)  -0.43
C (-3.009, -2.232, -4.089)  -0.29
C (-2.023, -1.654, -5.083)  -0.85
O (-3.137, -5.608, -2.871)  -0.36
C (-3.333, -6.250, -1.596)  -0.25
C (-3.112, -5.331, -0.413)  -1.10
H (0.729, -5.114, -3.275)  0.25
H (0.660, -6.063, -4.758)  0.34
H (-0.487, -6.878, -2.043)  0.18
H (0.881, -7.616, -2.876)  0.42
H (-0.757, -7.782, -3.538)  0.26
H (-2.819, -1.851, -3.085)  0.28
H (-4.023, -1.931, -4.356)  0.36
H (-1.035, -2.103, -4.980)  0.24
H (-1.935, -0.574, -4.948)  0.11
H (-2.350, -1.844, -6.107)  0.37
H (-2.684, -7.127, -1.530)  0.25
H (-4.359, -6.616, -1.594)  0.32
H (-2.076, -4.985, -0.364)  0.32
H (-3.337, -5.851, 0.518)  0.40
H (-3.750, -4.448, -0.486)  0.31
O (4.239, 3.957, 3.366)  -0.76
P (3.372, 3.024, 4.105)  1.07
O (4.147, 1.623, 4.297)  -0.33
C (5.450, 1.613, 4.880)  -0.34
C (5.410, 1.872, 6.375)  -0.93
O (2.242, 2.559, 3.053)  -0.37
C (2.161, 3.125, 1.745)  -0.36
C (2.974, 2.330, 0.745)  -0.95
O (2.334, 2.930, 5.331)  -0.33
C (2.335, 3.863, 6.429)  -0.25
C (2.674, 5.282, 6.023)  -1.12
H (6.090, 2.344, 4.379)  0.28
H (5.862, 0.624, 4.687)  0.33
H (5.118, 2.906, 6.582)  0.18
H (6.392, 1.709, 6.819)  0.42
H (4.689, 1.214, 6.860)  0.26
H (2.465, 4.171, 1.756)  0.39
H (1.107, 3.104, 1.461)  0.32
H (3.987, 2.140, 1.099)  0.32
H (3.031, 2.856, -0.209)  0.34
H (2.510, 1.357, 0.572)  0.18
H (3.020, 3.509, 7.203)  0.25
H (1.333, 3.831, 6.856)  0.32
H (3.694, 5.352, 5.633)  0.35
H (2.596, 5.950, 6.880)  0.40
H (1.999, 5.631, 5.240)  0.32

Atomic forces in eV per Å
S 0.0 0.7 -0.3
B -1.0 -0.5 0.1
O 0.6 0.5 0.6
B -0.5 -0.6 -0.8
O 0.8 0.5 0.8
B -0.5 -1.1 -0.7
C -0.6 0.1 -0.5
C 0.0 0.2 0.5
C -0.2 0.0 -0.8
C 0.5 -0.2 0.9
C -0.3 0.3 -0.4
C 0.1 -0.2 -0.1
O 1.0 0.8 0.5
H 0.0 -0.4 -0.2
H -0.2 0.2 -0.3
H 0.0 -0.1 0.0
H 0.0 -0.1 0.3
H 0.0 -0.1 -0.1
H 0.1 -0.1 0.0
H 0.0 0.0 0.1
O -0.2 -1.3 2.1
P -0.7 1.6 -4.8
O -0.1 -0.2 0.6
C 0.3 -0.2 0.0
C -0.1 0.1 0.1
O -0.2 -0.2 0.2
C 0.1 0.3 -0.1
C 0.1 0.0 -0.2
O 1.0 0.2 2.1
C -0.1 -0.3 0.3
C 0.2 0.2 -0.1
H -0.1 0.1 0.0
H -0.1 0.1 -0.1
H 0.0 0.0 0.0
H 0.0 0.0 0.0
H 0.0 0.0 0.0
H 0.1 -0.1 0.0
H 0.0 -0.2 0.0
H 0.0 0.0 0.2
H 0.0 0.0 0.0
H 0.0 0.0 0.0
H 0.0 0.0 -0.1
H 0.0 0.1 -0.2
H 0.0 0.0 0.0
H 0.0 0.0 0.0
H 0.0 0.0 0.0
O 0.1 1.4 2.0
P -1.4 -3.7 -3.2
O 0.0 0.5 0.4
C 0.3 -0.1 0.1
C -0.1 0.1 0.0
O -0.2 0.1 0.3
C 0.1 0.0 -0.3
C 0.0 -0.2 0.0
O 1.2 1.9 0.5
C -0.1 0.2 0.4
C 0.1 0.0 -0.2
H -0.1 0.0 0.0
H -0.1 0.0 -0.1
H 0.0 0.0 0.0
H 0.0 0.0 0.0
H 0.0 0.0 0.0
H 0.1 0.0 0.1
H 0.0 -0.1 0.1
H 0.0 0.2 0.1
H 0.0 0.0 0.0
H 0.0 0.0 0.0
H 0.0 -0.1 -0.1
H 0.0 -0.1 -0.1
H 0.0 0.0 0.0
H -0.1 0.0 0.0
H 0.0 0.0 0.0

=====

# 1
Entry from the Open Molecules 2025 dataset: a structure of composition C53H49N2P2S2SiTl (wB97M-V/def2-TZVPD).

CARTESIAN COORDINATES (ANGSTROEM)
Tl1 -0.129 -1.369 -0.101
C1 1.297 1.067 -2.531
N1 1.761 0.535 -1.262
C2 1.712 1.599 -0.246
C3 0.297 2.017 0.208